Camp Logic is a book for teachers, parents, math circle leaders, and anyone who nurtures the intellectual development of children. It is not necessary to have any mathematical background at all to use these activities – only to have a willingness to dig in and work toward solving problems where there is no clear path to a solution.
You can help us publish Camp Logic! Let your friends, colleagues, and the world know you want children to enjoy the underlying structures of math: share the crowdfunding page on your sites, blogs, and social media. Join the crowdfunding event to contribute money for editing, printing, and distributing the book, and to field test the activities. The book will by published in 2014, under an open Creative Commons license.
-- Mark Saul and Sian Zelbo, authors
The campaign reached its first milestone, so we are opening the draft of the first chapter for everyone's preview and discussion. It is attached to this post. Answer to share your thoughts, feedback, and questions for Mark and Sian!
Please note that we will do layout (such as splitting into pages) and copy editing (for typos) later, after we incorporate reader comments. Now you get to see how a draft looks before the book is laid out!
Here are a few questions to get your feedback started!
Answer by brad · May 19, 2014 at 11:49 PM
"Mathematical truth is not empirical truth: it does not depend on experimentation and observation." This is not a true statement given the process that follows is about the obsevations of "pattern" and relationships discovering by exploration the consistant development of facts in a logical way given the context.
,Answer by marksaul · May 20, 2014 at 12:53 PM
I think we can distinguish between the nature of mathematical truth and the way we come to know that truth. The latter is in fact a process of trial and error, mimicking the empirical sciences. But mathematics has available to it the apparatus of logic, which allows us to go further and assert the internal consistency of what we have concluded.
By the same token, we might say that the empirical sciences are logic-driven, in that we often test our conclusions through a logical process. But that's not the final test in the sciences. It is observation that is the final test.
Answer by sherylmorris · May 20, 2014 at 10:39 PM
I struggle with this but, can sense the importance.
Will the sequence of chapters be important to follow in order to build a logical mind? Are 'Day One' exercises the easiest?
### What comes next are molecular data, not part of the page
'''
Density functional theory data (ωB97M-V/def2-TZVPD) for a single C31H41ClN4O4 molecule.

Structure (XYZ):
```
81
Properties=species:S:1:pos:R:3:forces:R:3:mulliken_charge:R:1
C 2.5250 6.2541 -2.1762 -0.23 0.00 0.13 -1.611
H 2.2885 6.2929 -3.2374 0.03 -0.01 -0.13 0.406
H 3.0215 7.1831 -1.9025 0.10 0.08 0.00 0.427
H 3.2217 5.4367 -2.0144 0.14 -0.07 -0.03 0.253
C 1.2471 6.0765 -1.3577 -0.04 0.05 -0.01 0.428
C 0.4866 4.8015 -1.7352 0.19 0.01 -0.03 -1.336
H 0.3762 4.7349 -2.8189 -0.05 0.01 -0.07 0.477
H -0.5091 4.8419 -1.2909 -0.07 -0.06 -0.02 0.407
C 1.1875 3.5478 -1.2158 -0.35 0.10 -0.10 0.080
N 1.3190 3.6395 0.2229 0.01 0.16 -0.05 0.270
C 2.1718 4.7463 0.5943 -0.13 0.21 0.11 -0.510
H 2.2833 4.7503 1.6823 0.06 -0.01 -0.03 0.450
H 3.1827 4.6686 0.1532 0.00 -0.04 0.07 0.229
C 1.5215 6.0553 0.1492 0.12 -0.04 -0.07 -1.230
H 2.1613 6.8950 0.4285 0.00 0.07 0.02 0.475
H 0.5726 6.1561 0.6786 0.00 0.02 0.08 0.363
C 1.5632 2.4038 0.9216 0.18 -0.22 0.11 -1.419
C 2.9133 1.6944 0.6662 -0.34 0.03 -0.13 -0.411
C 2.8850 0.7112 -0.5070 0.20 0.31 -0.04 -1.431
N 1.9361 -0.3604 -0.3325 0.34 -0.05 0.23 0.296
C 0.8201 -0.4904 -1.0764 -0.39 -0.60 0.09 0.276
O 0.4481 0.2503 -1.9640 -0.17 0.30 -0.35 -0.790
C 0.1087 -1.7511 -0.6332 0.28 0.16 -0.06 -0.240
H -0.7531 -1.4903 -0.0163 0.11 0.05 -0.03 0.442
C -0.2128 -2.7727 -1.7303 0.18 -0.19 0.00 -0.284
C -1.7037 -2.9683 -1.9359 0.60 0.28 -0.06 0.208
O -2.2808 -4.0162 -1.7580 -0.15 -0.33 0.04 -0.688
N -2.2699 -1.7986 -2.3431 0.05 0.39 -0.10 0.059
C -3.6041 -1.5240 -2.6439 -0.45 -0.02 -0.07 0.707
C -4.6055 -2.4901 -2.5990 0.10 -0.20 0.06 -0.585
C -5.9052 -2.1422 -2.9181 0.03 0.19 -0.04 -0.573
C -6.2319 -0.8476 -3.2830 -0.06 0.06 -0.02 -0.559
C -5.2273 0.1061 -3.3229 0.08 -0.29 0.08 0.176
C -3.9207 -0.2158 -3.0081 -0.05 -0.06 0.01 -0.665
H -3.1502 0.5396 -3.0431 0.07 0.11 -0.01 0.538
Cl -5.6087 1.7307 -3.7755 -0.04 0.20 -0.05 -0.227
H -7.2456 -0.5788 -3.5325 -0.08 0.06 -0.03 0.416
H -6.6785 -2.8942 -2.8828 -0.07 -0.07 0.01 0.382
H -4.3592 -3.4994 -2.3162 0.01 -0.02 0.01 0.507
H -1.6449 -1.0024 -2.4283 0.05 -0.15 0.03 -0.034
H 0.2331 -2.4538 -2.6787 -0.08 0.01 0.07 0.604
C 0.6150 -3.9888 -1.2061 -0.54 -0.23 -0.24 -0.116
C 0.0431 -4.4203 0.1281 0.25 -0.05 0.08 -0.903
C 0.4505 -3.5128 1.0084 0.25 -0.11 -0.09 -0.840
H 0.2296 -3.4056 2.0509 -0.19 -0.02 0.28 0.503
C 1.2049 -2.5033 0.1743 -0.40 0.17 0.20 0.778
C 2.1247 -1.3971 0.6684 -0.22 -0.03 -0.05 0.399
H 3.1703 -1.7207 0.6826 -0.05 0.00 0.04 0.706
C 1.6348 -0.9233 2.0475 0.58 -0.27 -0.22 -0.558
O 0.5405 -0.4225 2.1869 -0.42 0.18 -0.09 -0.664
N 2.4990 -1.1375 3.0546 0.19 -0.13 0.27 0.045
H 3.3970 -1.5574 2.8713 -0.07 0.03 -0.16 0.411
C 2.2193 -0.7596 4.4285 0.17 0.00 0.09 -0.226
C 3.0685 0.4447 4.8415 -0.40 0.06 0.06 -0.441
C 2.7578 0.8379 6.2826 0.33 -0.08 0.00 -0.870
C 3.0074 -0.3365 7.2237 -0.32 0.09 0.04 -0.684
C 2.1655 -1.5391 6.8084 0.35 -0.08 0.00 -0.677
C 2.4739 -1.9371 5.3676 -0.38 0.13 0.04 -0.640
H 1.8547 -2.7856 5.0702 0.05 -0.04 -0.07 0.316
'''
Answer by lfahlberg · May 21, 2014 at 11:25 AM
these are great. i am working thru problems so maybe this problem exists farther down. i read #3 incorrectly and solved ab=b+b+b and thot you might like it also. :)
Answer by szelbo · May 21, 2014 at 12:45 PM
Hi Sheryl. Thank you for your question. In general the activities do not yet harder as the week progresses. The activities are modular, and the instructor should feel free to change the order of the modules in any way that makes sense. The order presented, however, has worked well, and thought was given to mixing up types of activities so that the children remain engaged and interested.
Answer by szelbo · May 21, 2014 at 12:48 PM
To lfahlberg: Thank you for the suggestion! It is difficult to write problems that are easy but also interesting, so it's always nice to have another idea for a variation.